# Source
+++
No. 1
Below is a relaxed structure of Si7NiN10, with properties calculated at the PBE level.

As for the crystal system: monoclinic. For the density, the calculation gives 3008 kg/m3. The calculation puts the total moment at 0.00 Bohr magnetons per cell. Its formation energy is -984.1 meV/atom. The total energy is -7.846 eV per atom.

a = 6.640 Å, b = 6.962 Å, c = 9.695 Å
α = 90.00°, β = 103.14°, γ = 90.00°
Space group Pc (No. 7)
Unique sites:
Si 0.000 0.017 0.000 (multiplicity 2)
Si 0.112 0.360 0.665 (multiplicity 2)
Si 0.303 0.381 0.989 (multiplicity 2)
Si 0.573 0.401 0.752 (multiplicity 2)
Si 0.756 0.377 0.059 (multiplicity 2)
Si 0.806 0.018 0.700 (multiplicity 2)
Si 0.943 0.366 0.363 (multiplicity 2)
Ni 0.427 0.116 0.864 (multiplicity 2)
N 0.006 0.139 0.644 (multiplicity 2)
N 0.157 0.416 0.499 (multiplicity 2)
N 0.211 0.152 0.985 (multiplicity 2)
N 0.335 0.375 0.806 (multiplicity 2)
N 0.532 0.431 0.115 (multiplicity 2)
N 0.610 0.160 0.729 (multiplicity 2)
N 0.745 0.494 0.901 (multiplicity 2)
N 0.781 0.131 0.048 (multiplicity 2)
N 0.907 0.122 0.349 (multiplicity 2)
N 0.955 0.458 0.198 (multiplicity 2)



No. 2
Below is a relaxed structure of Si5Ni2N8, with properties calculated at the PBE level.

As for the crystal system: orthorhombic. For the density, the calculation gives 3452 kg/m3. The calculation puts the total moment at 0.12 Bohr magnetons per cell. Its formation energy is -800.3 meV/atom. The total energy is -7.633 eV per atom.

a = 9.823 Å, b = 13.601 Å, c = 10.652 Å
α = 90.00°, β = 90.00°, γ = 90.00°
Space group Pbca (No. 61)
Unique sites:
Si 0.012 0.201 0.023 (multiplicity 8)
Si 0.013 0.674 0.755 (multiplicity 8)
Si 0.137 0.024 0.200 (multiplicity 8)
Si 0.239 0.216 0.348 (multiplicity 8)
Si 0.241 0.166 0.610 (multiplicity 8)
Ni 0.113 0.527 0.223 (multiplicity 8)
Ni 0.153 0.517 0.449 (multiplicity 8)
N 0.036 0.552 0.787 (multiplicity 8)
N 0.048 0.080 0.074 (multiplicity 8)
N 0.087 0.700 0.611 (multiplicity 8)
N 0.092 0.748 0.864 (multiplicity 8)
N 0.154 0.225 0.491 (multiplicity 8)
N 0.159 0.206 0.745 (multiplicity 8)
N 0.241 0.092 0.303 (multiplicity 8)
N 0.242 0.038 0.607 (multiplicity 8)



No. 3
Below is a relaxed structure of Sr2NiN2, with properties calculated at the PBE level.

As for the crystal system: orthorhombic. For the density, the calculation gives 4675 kg/m3. The calculation puts the total moment at 8.00 Bohr magnetons per cell. Its formation energy is -676.9 meV/atom. The total energy is -5.699 eV per atom.

a = 7.711 Å, b = 3.854 Å, c = 12.525 Å
α = 90.00°, β = 90.00°, γ = 90.00°
Space group Pnma (No. 62)
Unique sites:
Sr 0.117 0.250 0.103 (multiplicity 4)
Sr 0.127 0.250 0.399 (multiplicity 4)
Ni 0.128 0.250 0.748 (multiplicity 4)
N 0.124 0.250 0.889 (multiplicity 4)
N 0.132 0.250 0.608 (multiplicity 4)



No. 4
Below is a relaxed structure of Sr2NiN2, with properties calculated at the PBE level.

As for the crystal system: tetragonal. For the density, the calculation gives 4702 kg/m3. The calculation puts the total moment at 4.00 Bohr magnetons per cell. Its formation energy is -679.5 meV/atom. The total energy is -5.702 eV per atom.

a = 3.852 Å, b = 3.852 Å, c = 12.472 Å
α = 90.00°, β = 90.00°, γ = 90.00°
Space group I4mm (No. 107)
Unique sites:
Sr 0.000 0.000 0.000 (multiplicity 2)
Sr 0.000 0.000 0.296 (multiplicity 2)
Ni 0.000 0.000 0.649 (multiplicity 2)
N 0.000 0.000 0.508 (multiplicity 2)
N 0.000 0.000 0.790 (multiplicity 2)



No. 5
Below is a relaxed structure of Sr5NiN4, with properties calculated at the PBE level.

As for the crystal system: monoclinic. For the density, the calculation gives 3939 kg/m3. The calculation puts the total moment at 3.96 Bohr magnetons per cell. Its formation energy is -332.4 meV/atom. The total energy is -4.945 eV per atom.

a = 9.604 Å, b = 16.189 Å, c = 12.356 Å
α = 90.00°, β = 103.96°, γ = 90.00°
Space group P2_1/m (No. 11)
Unique sites:
Sr 0.000 0.000 0.000 (multiplicity 2)
Sr 0.046 0.250 0.010 (multiplicity 2)
Sr 0.102 0.627 0.330 (multiplicity 4)
+++

# Wanted
Reproduce all of the notes further above word for word.

# Result
No. 1
Below is a relaxed structure of Si7NiN10, with properties calculated at the PBE level.

As for the crystal system: monoclinic. For the density, the calculation gives 3008 kg/m3. The calculation puts the total moment at 0.00 Bohr magnetons per cell. Its formation energy is -984.1 meV/atom. The total energy is -7.846 eV per atom.

a = 6.640 Å, b = 6.962 Å, c = 9.695 Å
α = 90.00°, β = 103.14°, γ = 90.00°
Space group Pc (No. 7)
Unique sites:
Si 0.000 0.017 0.000 (multiplicity 2)
Si 0.112 0.360 0.665 (multiplicity 2)
Si 0.303 0.381 0.989 (multiplicity 2)
Si 0.573 0.401 0.752 (multiplicity 2)
Si 0.756 0.377 0.059 (multiplicity 2)
Si 0.806 0.018 0.700 (multiplicity 2)
Si 0.943 0.366 0.363 (multiplicity 2)
Ni 0.427 0.116 0.864 (multiplicity 2)
N 0.006 0.139 0.644 (multiplicity 2)
N 0.157 0.416 0.499 (multiplicity 2)
N 0.211 0.152 0.985 (multiplicity 2)
N 0.335 0.375 0.806 (multiplicity 2)
N 0.532 0.431 0.115 (multiplicity 2)
N 0.610 0.160 0.729 (multiplicity 2)
N 0.745 0.494 0.901 (multiplicity 2)
N 0.781 0.131 0.048 (multiplicity 2)
N 0.907 0.122 0.349 (multiplicity 2)
N 0.955 0.458 0.198 (multiplicity 2)



No. 2
Below is a relaxed structure of Si5Ni2N8, with properties calculated at the PBE level.

As for the crystal system: orthorhombic. For the density, the calculation gives 3452 kg/m3. The calculation puts the total moment at 0.12 Bohr magnetons per cell. Its formation energy is -800.3 meV/atom. The total energy is -7.633 eV per atom.

a = 9.823 Å, b = 13.601 Å, c = 10.652 Å
α = 90.00°, β = 90.00°, γ = 90.00°
Space group Pbca (No. 61)
Unique sites:
Si 0.012 0.201 0.023 (multiplicity 8)
Si 0.013 0.674 0.755 (multiplicity 8)
Si 0.137 0.024 0.200 (multiplicity 8)
Si 0.239 0.216 0.348 (multiplicity 8)
Si 0.241 0.166 0.610 (multiplicity 8)
Ni 0.113 0.527 0.223 (multiplicity 8)
Ni 0.153 0.517 0.449 (multiplicity 8)
N 0.036 0.552 0.787 (multiplicity 8)
N 0.048 0.080 0.074 (multiplicity 8)
N 0.087 0.700 0.611 (multiplicity 8)
N 0.092 0.748 0.864 (multiplicity 8)
N 0.154 0.225 0.491 (multiplicity 8)
N 0.159 0.206 0.745 (multiplicity 8)
N 0.241 0.092 0.303 (multiplicity 8)
N 0.242 0.038 0.607 (multiplicity 8)



No. 3
Below is a relaxed structure of Sr2NiN2, with properties calculated at the PBE level.

As for the crystal system: orthorhombic. For the density, the calculation gives 4675 kg/m3. The calculation puts the total moment at 8.00 Bohr magnetons per cell. Its formation energy is -676.9 meV/atom. The total energy is -5.699 eV per atom.

a = 7.711 Å, b = 3.854 Å, c = 12.525 Å
α = 90.00°, β = 90.00°, γ = 90.00°
Space group Pnma (No. 62)
Unique sites:
Sr 0.117 0.250 0.103 (multiplicity 4)
Sr 0.127 0.250 0.399 (multiplicity 4)
Ni 0.128 0.250 0.748 (multiplicity 4)
N 0.124 0.250 0.889 (multiplicity 4)
N 0.132 0.250 0.608 (multiplicity 4)



No. 4
Below is a relaxed structure of Sr2NiN2, with properties calculated at the PBE level.

As for the crystal system: tetragonal. For the density, the calculation gives 4702 kg/m3. The calculation puts the total moment at 4.00 Bohr magnetons per cell. Its formation energy is -679.5 meV/atom. The total energy is -5.702 eV per atom.

a = 3.852 Å, b = 3.852 Å, c = 12.472 Å
α = 90.00°, β = 90.00°, γ = 90.00°
Space group I4mm (No. 107)
Unique sites:
Sr 0.000 0.000 0.000 (multiplicity 2)
Sr 0.000 0.000 0.296 (multiplicity 2)
Ni 0.000 0.000 0.649 (multiplicity 2)
N 0.000 0.000 0.508 (multiplicity 2)
N 0.000 0.000 0.790 (multiplicity 2)



No. 5
Below is a relaxed structure of Sr5NiN4, with properties calculated at the PBE level.

As for the crystal system: monoclinic. For the density, the calculation gives 3939 kg/m3. The calculation puts the total moment at 3.96 Bohr magnetons per cell. Its formation energy is -332.4 meV/atom. The total energy is -4.945 eV per atom.

a = 9.604 Å, b = 16.189 Å, c = 12.356 Å
α = 90.00°, β = 103.96°, γ = 90.00°
Space group P2_1/m (No. 11)
Unique sites:
Sr 0.000 0.000 0.000 (multiplicity 2)
Sr 0.046 0.250 0.010 (multiplicity 2)
Sr 0.102 0.627 0.330 (multiplicity 4)